## Given
=====
Calculated PXRD pattern of Ti2Mn3Te3O16 for Cu Kα (λ = 1.5418 Å), from a DFT-relaxed cell (GGA+U, Alexandria).
Kinematic intensities with the Lorentz-polarization factor, no thermal factor.

Structure:
```
data_Ti2Mn3Te3O16
_chemical_formula_sum 'Ti4 Mn6 Te6 O32'
_space_group_name_H-M_alt 'C 1 m 1'
_space_group_IT_number 8
_cell_length_a 11.3136
_cell_length_b 6.1192
_cell_length_c 9.4668
_cell_angle_alpha 90.00
_cell_angle_beta 95.06
_cell_angle_gamma 90.00
loop_
_space_group_symop_operation_xyz
'x,y,z'
'x,-y,z'
'x+1/2,y+1/2,z'
'x+1/2,-y+1/2,z'
loop_
_atom_site_label
_atom_site_type_symbol
_atom_site_fract_x
_atom_site_fract_y
_atom_site_fract_z
Ti1 Ti 0.0000 0.0000 0.0000
Ti2 Ti 0.1888 0.5000 0.4483
Mn1 Mn 0.0610 0.5000 0.7576
Mn2 Mn 0.4373 0.2510 0.2691
Te1 Te 0.1872 0.0000 0.2440
Te2 Te 0.3077 0.2498 0.7355
O1 O 0.0409 0.5000 0.3784
O2 O 0.0530 0.0000 0.3564
O3 O 0.1032 0.2058 0.1087
O4 O 0.1612 0.2775 0.6216
O5 O 0.2463 0.0000 0.8430
O6 O 0.2498 0.5000 0.8532
O7 O 0.2598 0.2559 0.3583
O8 O 0.3366 0.0000 0.1637
O9 O 0.3622 0.5000 0.6144
O10 O 0.3767 0.0000 0.6293
O11 O 0.3872 0.5000 0.1123
O12 O 0.4583 0.2594 0.8477
```

Peak list (10 most intense, 10 to 80 degrees two-theta, by angle)
2θ/deg	I (rel.)	(hkl)
17.61	50.2	2 0 -1
18.65	44.7	1 1 -1
18.82	100.0	0 0 2
19.34	23.1	1 1 1
32.36	25.4	4 0 -1
33.32	22.7	2 2 0
34.00	25.1	4 0 1
35.09	25.5	2 2 1
37.81	29.9	2 2 -2
41.11	24.9	4 0 -3


# 1
Computed XRD peak list of CaNdCo4O12 for Cu Kα X-rays, from a structure optimized by DFT (GGA+U).
Intensities are scaled so that the largest is 1000.

Structural model:
a b c (Å): 7.5239 7.4676 7.5323
angles (deg): 90.00 90.00 90.00
Space group Amm2 (No. 38)
One atom of each set of equivalent atoms:
Ca (0.0000, 0.0000, 0.0000)
Nd (0.5000, 0.0000, 0.5134)
Co (0.2460, 0.2483, 0.2547)
O (0.0000, 0.2297, 0.2532)
O (0.2367, 0.0000, 0.7406)
O (0.2514, 0.2374, 0.0068)
O (0.2732, 0.0000, 0.2787)
O (0.5000, 0.2323, 0.7514)

Most intense lines, 10° ≤ 2θ ≤ 90°, low angle first:
- 2θ = 20.5°, intensity 920, (1 1 1)
- 2θ = 33.7°, intensity 489, (2 0 2)
- 2θ = 33.8°, intensity 1000, (2 2 0)
- 2θ = 39.7°, intensity 322, (3 1 1)
- 2θ = 48.4°, intensity 473, (4 0 0)
- 2θ = 48.8°, intensity 229, (0 4 0)
- 2θ = 60.3°, intensity 379, (2 2 4)
- 2θ = 71.1°, intensity 246, (4 4 0)

=====

# 2
Computed XRD peak list of CaCoNiP2O9 for Cu Kα X-rays, from a structure optimized by DFT (GGA+U).
Intensities are scaled so that the largest is 1000.

Structural model:
a b c (Å): 7.5191 6.4642 14.1813
angles (deg): 90.00 90.39 90.00
Space group Pm (No. 6)
One atom of each set of equivalent atoms:
Ca (0.0000, 0.0000, 0.0000)
Ca (0.2426, 0.0000, 0.4982)
Ca (0.4937, 0.5000, 0.0594)
Ca (0.7406, 0.5000, 0.5562)
Co (0.0249, 0.5000, 0.1601)
Co (0.2174, 0.5000, 0.6607)
Co (0.5241, 0.0000, 0.8952)
Co (0.7192, 0.0000, 0.3943)
Ni (0.3692, 0.2490, 0.2779)
Ni (0.8702, 0.2498, 0.7775)
P (0.0182, 0.0000, 0.2162)
P (0.2224, 0.0000, 0.7158)
P (0.2627, 0.5000, 0.4720)
P (0.4784, 0.0000, 0.0837)
P (0.5189, 0.5000, 0.8406)
P (0.7212, 0.5000, 0.3385)
P (0.7618, 0.0000, 0.5833)
P (0.9860, 0.5000, 0.9730)
O (0.0045, 0.1870, 0.1475)
O (0.0142, 0.5000, 0.7256)
O (0.0405, 0.0000, 0.7658)
O (0.0893, 0.5000, 0.5350)
O (0.1606, 0.5000, 0.0339)
O (0.2010, 0.0000, 0.2665)
O (0.2214, 0.5000, 0.2220)
O (0.2360, 0.1883, 0.6476)
O (0.2666, 0.3021, 0.4116)
O (0.3278, 0.0000, 0.0069)
O (0.3687, 0.5000, 0.7682)
O (0.3722, 0.0000, 0.7886)
O (0.4131, 0.5000, 0.5490)
O (0.4744, 0.1977, 0.1444)
O (0.5060, 0.3119, 0.9092)
O (0.5144, 0.0000, 0.3297)
O (0.5357, 0.5000, 0.2896)
O (0.5882, 0.0000, 0.5202)
O (0.6519, 0.0000, 0.0210)
O (0.7007, 0.5000, 0.7906)
O (0.7270, 0.0000, 0.8304)
O (0.7349, 0.3120, 0.4076)
O (0.7671, 0.1984, 0.6439)
O (0.8428, 0.5000, 0.0545)
O (0.8643, 0.5000, 0.2639)
O (0.8702, 0.0000, 0.2890)
O (0.9124, 0.0000, 0.5074)
O (0.9718, 0.3024, 0.9130)

Most intense lines, 10° ≤ 2θ ≤ 90°, low angle first:
- 2θ = 13.3°, intensity 240, (1 0 -1)
- 2θ = 17.1°, intensity 193, (1 0 -2)
=====
## Brief
Your job: quote all of the rows further above verbatim.
## Done
Calculated PXRD pattern of Ti2Mn3Te3O16 for Cu Kα (λ = 1.5418 Å), from a DFT-relaxed cell (GGA+U, Alexandria).
Kinematic intensities with the Lorentz-polarization factor, no thermal factor.

Structure:
```
data_Ti2Mn3Te3O16
_chemical_formula_sum 'Ti4 Mn6 Te6 O32'
_space_group_name_H-M_alt 'C 1 m 1'
_space_group_IT_number 8
_cell_length_a 11.3136
_cell_length_b 6.1192
_cell_length_c 9.4668
_cell_angle_alpha 90.00
_cell_angle_beta 95.06
_cell_angle_gamma 90.00
loop_
_space_group_symop_operation_xyz
'x,y,z'
'x,-y,z'
'x+1/2,y+1/2,z'
'x+1/2,-y+1/2,z'
loop_
_atom_site_label
_atom_site_type_symbol
_atom_site_fract_x
_atom_site_fract_y
_atom_site_fract_z
Ti1 Ti 0.0000 0.0000 0.0000
Ti2 Ti 0.1888 0.5000 0.4483
Mn1 Mn 0.0610 0.5000 0.7576
Mn2 Mn 0.4373 0.2510 0.2691
Te1 Te 0.1872 0.0000 0.2440
Te2 Te 0.3077 0.2498 0.7355
O1 O 0.0409 0.5000 0.3784
O2 O 0.0530 0.0000 0.3564
O3 O 0.1032 0.2058 0.1087
O4 O 0.1612 0.2775 0.6216
O5 O 0.2463 0.0000 0.8430
O6 O 0.2498 0.5000 0.8532
O7 O 0.2598 0.2559 0.3583
O8 O 0.3366 0.0000 0.1637
O9 O 0.3622 0.5000 0.6144
O10 O 0.3767 0.0000 0.6293
O11 O 0.3872 0.5000 0.1123
O12 O 0.4583 0.2594 0.8477
```

Peak list (10 most intense, 10 to 80 degrees two-theta, by angle)
2θ/deg	I (rel.)	(hkl)
17.61	50.2	2 0 -1
18.65	44.7	1 1 -1
18.82	100.0	0 0 2
19.34	23.1	1 1 1
32.36	25.4	4 0 -1
33.32	22.7	2 2 0
34.00	25.1	4 0 1
35.09	25.5	2 2 1
37.81	29.9	2 2 -2
41.11	24.9	4 0 -3


# 1
Computed XRD peak list of CaNdCo4O12 for Cu Kα X-rays, from a structure optimized by DFT (GGA+U).
Intensities are scaled so that the largest is 1000.

Structural model:
a b c (Å): 7.5239 7.4676 7.5323
angles (deg): 90.00 90.00 90.00
Space group Amm2 (No. 38)
One atom of each set of equivalent atoms:
Ca (0.0000, 0.0000, 0.0000)
Nd (0.5000, 0.0000, 0.5134)
Co (0.2460, 0.2483, 0.2547)
O (0.0000, 0.2297, 0.2532)
O (0.2367, 0.0000, 0.7406)
O (0.2514, 0.2374, 0.0068)
O (0.2732, 0.0000, 0.2787)
O (0.5000, 0.2323, 0.7514)

Most intense lines, 10° ≤ 2θ ≤ 90°, low angle first:
- 2θ = 20.5°, intensity 920, (1 1 1)
- 2θ = 33.7°, intensity 489, (2 0 2)
- 2θ = 33.8°, intensity 1000, (2 2 0)
- 2θ = 39.7°, intensity 322, (3 1 1)
- 2θ = 48.4°, intensity 473, (4 0 0)
- 2θ = 48.8°, intensity 229, (0 4 0)
- 2θ = 60.3°, intensity 379, (2 2 4)
- 2θ = 71.1°, intensity 246, (4 4 0)

=====

# 2
Computed XRD peak list of CaCoNiP2O9 for Cu Kα X-rays, from a structure optimized by DFT (GGA+U).
Intensities are scaled so that the largest is 1000.

Structural model:
a b c (Å): 7.5191 6.4642 14.1813
angles (deg): 90.00 90.39 90.00
Space group Pm (No. 6)
One atom of each set of equivalent atoms:
Ca (0.0000, 0.0000, 0.0000)
Ca (0.2426, 0.0000, 0.4982)
Ca (0.4937, 0.5000, 0.0594)
Ca (0.7406, 0.5000, 0.5562)
Co (0.0249, 0.5000, 0.1601)
Co (0.2174, 0.5000, 0.6607)
Co (0.5241, 0.0000, 0.8952)
Co (0.7192, 0.0000, 0.3943)
Ni (0.3692, 0.2490, 0.2779)
Ni (0.8702, 0.2498, 0.7775)
P (0.0182, 0.0000, 0.2162)
P (0.2224, 0.0000, 0.7158)
P (0.2627, 0.5000, 0.4720)
P (0.4784, 0.0000, 0.0837)
P (0.5189, 0.5000, 0.8406)
P (0.7212, 0.5000, 0.3385)
P (0.7618, 0.0000, 0.5833)
P (0.9860, 0.5000, 0.9730)
O (0.0045, 0.1870, 0.1475)
O (0.0142, 0.5000, 0.7256)
O (0.0405, 0.0000, 0.7658)
O (0.0893, 0.5000, 0.5350)
O (0.1606, 0.5000, 0.0339)
O (0.2010, 0.0000, 0.2665)
O (0.2214, 0.5000, 0.2220)
O (0.2360, 0.1883, 0.6476)
O (0.2666, 0.3021, 0.4116)
O (0.3278, 0.0000, 0.0069)
O (0.3687, 0.5000, 0.7682)
O (0.3722, 0.0000, 0.7886)
O (0.4131, 0.5000, 0.5490)
O (0.4744, 0.1977, 0.1444)
O (0.5060, 0.3119, 0.9092)
O (0.5144, 0.0000, 0.3297)
O (0.5357, 0.5000, 0.2896)
O (0.5882, 0.0000, 0.5202)
O (0.6519, 0.0000, 0.0210)
O (0.7007, 0.5000, 0.7906)
O (0.7270, 0.0000, 0.8304)
O (0.7349, 0.3120, 0.4076)
O (0.7671, 0.1984, 0.6439)
O (0.8428, 0.5000, 0.0545)
O (0.8643, 0.5000, 0.2639)
O (0.8702, 0.0000, 0.2890)
O (0.9124, 0.0000, 0.5074)
O (0.9718, 0.3024, 0.9130)

Most intense lines, 10° ≤ 2θ ≤ 90°, low angle first:
- 2θ = 13.3°, intensity 240, (1 0 -1)
- 2θ = 17.1°, intensity 193, (1 0 -2)